**Assignment**
Your job: start at the top of the lines further below and set down each line, ending with the one that has "0.1763 0.4843".

**Contents**
........
NaPrTi4O12: optimized geometry, PBE.

**Spin magnetization**: 4.00 μB/f.u.
**VASP energy**: -7.839 eV per atom
**Crystal system**: tetragonal

abc: 5.454 5.454 7.894
angles: 90.00 90.00 90.00
Space group P4/mmm (No. 123)
Unique sites:
Na 0.000 0.000 0.000
Pr 0.500 0.500 0.500
Ti 0.000 0.500 0.237
O 0.000 0.500 0.000
O 0.000 0.500 0.500
O 0.256 0.256 0.266

---

NaPt3O4: optimized geometry, PBE.

**VASP energy**: -5.647 eV per atom
**Crystal system**: cubic

abc: 5.772 5.772 5.772
angles: 90.00 90.00 90.00
Space group Pm-3n (No. 223)
Unique sites:
Na 0.000 0.000 0.000
Pt 0.000 0.250 0.500
O 0.250 0.250 0.250

---

Na4PtO4: optimized geometry, PBE.

**Spin magnetization**: 0.03 μB/f.u.
**Energy relative to the lowest polymorph listed for this composition**: 56 meV per atom
**VASP energy**: -4.523 eV per atom
**Crystal system**: monoclinic

abc: 10.742 4.540 9.970
angles: 90.00 91.84 90.00
Space group C2/m (No. 12)
Unique sites:
Na 0.073 0.000 0.177
Na 0.128 0.500 0.956
Na 0.147 0.000 0.453
Na 0.242 0.500 0.273
Pt 0.048 0.500 0.655
O 0.044 0.500 0.164
O 0.056 0.000 0.658
O 0.118 0.500 0.464
O 0.218 0.500 0.755

---

Na4PtO4: optimized geometry, PBE.

**Spin magnetization**: 0.00 μB/f.u.
**Energy relative to the lowest polymorph listed for this composition**: 0 meV per atom
**VASP energy**: -4.579 eV per atom
**Crystal system**: monoclinic

abc: 10.975 3.302 7.977
angles: 90.00 121.08 90.00
Space group C2/m (No. 12)
Unique sites:
Na 0.131 0.000 0.394
Na 0.207 0.500 0.826
Pt 0.000 0.500 0.000
O 0.068 0.000 0.904
O 0.197 0.500 0.269

---

NaSr11Pt3O18: optimized geometry, PBE.

**VASP energy**: -6.022 eV per atom
**Crystal system**: trigonal

abc: 9.8269 9.8269 11.9451
angles: 90.00 90.00 120.00
Space group P321 (No. 150)
Unique sites:
Na 0.3333 0.6667 0.1664
Sr 0.0000 0.0000 0.0000
Sr 0.0000 0.0000 0.5000
Sr 0.0000 0.3658 0.5000
Sr 0.0000 0.6321 0.0000
Sr 0.0236 0.3336 0.8339
Sr 0.0362 0.6983 0.3298
Sr 0.3333 0.6667 0.6667
Pt 0.0000 0.0000 0.2498
Pt 0.3333 0.6667 0.4143
Pt 0.3333 0.6667 0.9192
O 0.0259 0.1853 0.6502
O 0.0257 0.8412 0.1497
O 0.1492 0.6407 0.8173
O 0.1507 0.5096 0.3153
O 0.1745 0.6928 0.5162
O 0.1763 0.4843 0.0174

---

Rb3NaRu2O8: optimized geometry, PBE.

**Spin magnetization**: 4.00 μB/f.u.
**VASP energy**: -5.771 eV per atom
**Crystal system**: trigonal

abc: 6.2075 6.2075 8.0645
angles: 90.00 90.00 120.00
Space group P-3m1 (No. 164)
Unique sites:
Rb 0.0000 0.0000 0.0000
Rb 0.3333 0.6667 0.6591
Na 0.0000 0.0000 0.5000
Ru 0.3333 0.6667 0.2212
O 0.1780 0.3560 0.3075
O 0.3333 0.6667 0.0015

---

no.,formation enthalpy at 0 K (eV/atom)
1,-2.9050
2,-1.0749
3,-1.3670
4,-1.4226
5,-2.5422
6,-1.7069

=====

(1)
# RbTe2O6 | the Materials Project | PBE | relaxed
data_RbTe2O6
_chemical_formula_sum 'Rb2 Te4 O12'
_cell_length_a 7.436
_cell_length_b 7.436
_cell_length_c 7.436
_cell_angle_alpha 60.00
_cell_angle_beta 60.00
_cell_angle_gamma 60.00
_symmetry_space_group_name_H-M 'P 1'
_symmetry_Int_Tables_number 1
loop_
_symmetry_equiv_pos_as_xyz
'x,y,z'
loop_
_atom_site_label
_atom_site_type_symbol
_atom_site_fract_x
_atom_site_fract_y
_atom_site_fract_z
Te1 Te 0.125 0.625 0.625
O1 O 0.695 0.305 0.695
Te2 Te 0.625 0.625 0.125
Rb1 Rb 0.000 0.000 0.000
Te3 Te 0.625 0.125 0.625
O2 O 0.305 0.305 0.695
Rb2 Rb 0.250 0.250 0.250
O3 O 0.555 0.945 0.945
O4 O 0.555 0.555 0.945
O5 O 0.945 0.945 0.555
Te4 Te 0.625 0.625 0.625
O6 O 0.695 0.305 0.305
O7 O 0.305 0.695 0.305
O8 O 0.695 0.695 0.305
O9 O 0.305 0.695 0.695
O10 O 0.555 0.945 0.555
O11 O 0.945 0.555 0.945
O12 O 0.945 0.555 0.555
# symmetry	Fd-3m, No. 227
# energy relative to the elements	-1.637	eV/atom

=====

(2)
# Rb6Te2O9 | the Materials Project | PBE | relaxed
data_Rb6Te2O9
_chemical_formula_sum 'Rb12 Te4 O18'
_cell_length_a 8.912
_cell_length_b 8.912
_cell_length_c 11.230
_cell_angle_alpha 67.93
_cell_angle_beta 67.93
_cell_angle_gamma 92.95
_symmetry_space_group_name_H-M 'P 1'
_symmetry_Int_Tables_number 1
loop_
_symmetry_equiv_pos_as_xyz
'x,y,z'
loop_
_atom_site_label
........

**Reply**
NaPrTi4O12: optimized geometry, PBE.

**Spin magnetization**: 4.00 μB/f.u.
**VASP energy**: -7.839 eV per atom
**Crystal system**: tetragonal

abc: 5.454 5.454 7.894
angles: 90.00 90.00 90.00
Space group P4/mmm (No. 123)
Unique sites:
Na 0.000 0.000 0.000
Pr 0.500 0.500 0.500
Ti 0.000 0.500 0.237
O 0.000 0.500 0.000
O 0.000 0.500 0.500
O 0.256 0.256 0.266

---

NaPt3O4: optimized geometry, PBE.

**VASP energy**: -5.647 eV per atom
**Crystal system**: cubic

abc: 5.772 5.772 5.772
angles: 90.00 90.00 90.00
Space group Pm-3n (No. 223)
Unique sites:
Na 0.000 0.000 0.000
Pt 0.000 0.250 0.500
O 0.250 0.250 0.250

---

Na4PtO4: optimized geometry, PBE.

**Spin magnetization**: 0.03 μB/f.u.
**Energy relative to the lowest polymorph listed for this composition**: 56 meV per atom
**VASP energy**: -4.523 eV per atom
**Crystal system**: monoclinic

abc: 10.742 4.540 9.970
angles: 90.00 91.84 90.00
Space group C2/m (No. 12)
Unique sites:
Na 0.073 0.000 0.177
Na 0.128 0.500 0.956
Na 0.147 0.000 0.453
Na 0.242 0.500 0.273
Pt 0.048 0.500 0.655
O 0.044 0.500 0.164
O 0.056 0.000 0.658
O 0.118 0.500 0.464
O 0.218 0.500 0.755

---

Na4PtO4: optimized geometry, PBE.

**Spin magnetization**: 0.00 μB/f.u.
**Energy relative to the lowest polymorph listed for this composition**: 0 meV per atom
**VASP energy**: -4.579 eV per atom
**Crystal system**: monoclinic

abc: 10.975 3.302 7.977
angles: 90.00 121.08 90.00
Space group C2/m (No. 12)
Unique sites:
Na 0.131 0.000 0.394
Na 0.207 0.500 0.826
Pt 0.000 0.500 0.000
O 0.068 0.000 0.904
O 0.197 0.500 0.269

---

NaSr11Pt3O18: optimized geometry, PBE.

**VASP energy**: -6.022 eV per atom
**Crystal system**: trigonal

abc: 9.8269 9.8269 11.9451
angles: 90.00 90.00 120.00
Space group P321 (No. 150)
Unique sites:
Na 0.3333 0.6667 0.1664
Sr 0.0000 0.0000 0.0000
Sr 0.0000 0.0000 0.5000
Sr 0.0000 0.3658 0.5000
Sr 0.0000 0.6321 0.0000
Sr 0.0236 0.3336 0.8339
Sr 0.0362 0.6983 0.3298
Sr 0.3333 0.6667 0.6667
Pt 0.0000 0.0000 0.2498
Pt 0.3333 0.6667 0.4143
Pt 0.3333 0.6667 0.9192
O 0.0259 0.1853 0.6502
O 0.0257 0.8412 0.1497
O 0.1492 0.6407 0.8173
O 0.1507 0.5096 0.3153
O 0.1745 0.6928 0.5162
O 0.1763 0.4843 0.0174